What we know so far about generative AI applications to mass refactoring.
Before I say anything here, allow me to admit that this piece is not going to age well. We are constantly learning, exploring, and pushing the boundaries of large language model (LLM) applications to mass refactoring. It's worth writing something now though, because we do know some things.
There is no doubt that Copilot has increased the speed of my code authorship. I have some heartburn when I hear simplifications like "Copilot writes 30% of new code" because the reality is more complicated than that. It is above all a human-machine interaction where suggestions do in many cases save me a lot of mundane typing but are equally as often completely bogus. And that's fine!
Generative AI is best in single-point suggestive applications.
The same AI prompt applied to the same input will not always generate the same output. You can quickly test this with this unit test which successfully moves a switch default case on about 70% of the time. When I am authoring new code, success ratios like this lead to fantastic time savings, because I'm rolling the dice on practically every single word I type.
If I were trying to move switch default cases for every switch statement on 500 million lines of code, 70% success would imply a lot of manual review.
- Single-point: designed to operate at a single cursor position, which makes it ideal for human-machine interaction since a human always has a single focus point.
- Suggestive: Not guaranteed to be accurate. Humans very quickly accept or discard suggestions.
Rule-based systems are best in multi-point authoritative applications.
**Inserted here: records of crystals:**
- - -
Li3MnCoO5 | Materials Project | PBE+U | optimized geometry; uncorrected energy = -114.36 eV per cell; SG = Cm
1.0
2.623 -1.439 0.000
2.623 1.439 0.000
-0.857 0.000 24.866
Li Mn Co O
6 2 2 10
Cartesian
0.000 0.000 0.000
0.262 0.000 7.412
0.893 0.000 22.498
2.230 0.000 12.423
3.536 0.000 2.453
4.109 0.000 17.344
2.480 0.000 19.810
3.865 0.000 9.946
0.546 0.000 14.898
1.908 0.000 5.020
0.049 0.000 4.004
0.565 0.000 11.110
0.575 0.000 18.663
1.793 0.000 1.323
1.931 0.000 8.801
2.225 0.000 16.015
2.616 0.000 23.562
3.813 0.000 6.120
4.121 0.000 13.787
4.338 0.000 20.871

***

Li4MnCo2O7 | Materials Project | PBE+U | optimized geometry; uncorrected energy = -164.41 eV per cell; SG = P1
1.0
5.067 0.000 0.000
-0.782 5.025 0.000
-1.622 -2.222 9.672
Li Mn Co O
8 2 4 14
Cartesian
0.000 0.000 0.000
-1.568 3.885 4.817
-0.738 -0.386 7.718
0.837 2.756 0.632
0.909 3.518 3.449
1.774 -0.738 6.261
1.811 0.064 9.035
3.446 3.122 2.041
2.561 0.405 1.334
2.662 1.981 6.982
0.038 0.800 2.701
0.126 1.536 5.506
0.143 2.382 8.320
2.616 1.192 4.144
-0.711 2.268 3.824
-1.499 1.310 8.510
-0.734 2.977 6.651
0.137 4.419 1.783
0.858 0.089 4.565
0.195 -1.188 9.378
1.793 1.830 2.495
1.035 0.965 7.300
2.473 3.992 0.332
1.871 2.612 5.260
2.576 -1.646 7.902
3.351 -0.243 3.047
4.151 1.495 1.103
3.409 0.556 5.808

***

Li7Mn2Co3O12 | Materials Project | PBE+U | optimized geometry; uncorrected energy = -281.46 eV per cell; SG = P-1
1.0
2.895 0.000 0.000
-0.343 11.828 0.000
-0.022 -2.944 12.511
Li Mn Co O
14 4 6 24
Cartesian
0.000 0.000 0.000
-0.202 5.862 4.167
-0.020 -0.015 4.275
-0.029 2.870 0.016
1.115 7.518 6.263
1.116 10.378 1.982
1.223 4.421 10.443
1.436 -1.472 6.255
1.307 4.463 2.067
1.414 -1.494 10.528
1.415 1.366 6.248
2.559 6.014 12.495
2.550 8.899 8.236
2.732 3.022 8.344
-0.029 -0.025 8.249
1.096 7.451 10.515
1.434 1.433 1.995
2.559 8.909 4.262
-0.172 5.914 0.000
-0.068 2.955 4.164
1.170 7.418 2.080
1.265 4.442 6.255
1.360 1.466 10.430
2.598 5.929 8.347
-0.010 0.155 2.111
-0.174 6.023 2.078
-0.196 5.736 6.292
-0.030 0.033 6.419
-0.020 2.775 2.107
0.004 0.087 10.317
1.062 7.322 8.422
1.116 7.559 4.151
1.174 7.298 0.028
1.261 4.335 4.124
1.101 7.392 12.339
1.106 10.186 4.156
1.424 -1.302 8.354
1.429 1.492 0.172
1.268 4.549 8.387
1.355 1.586 12.483
1.414 1.325 8.360
1.468 1.562 4.088
2.526 8.797 2.194
2.550 6.109 10.403
2.560 8.851 6.091
2.726 3.148 6.219
2.703 2.861 10.433
2.540 8.729 10.400

***

Li7Mn2Co3O12 | Materials Project | PBE+U | optimized geometry; uncorrected energy = -139.78 eV per cell; SG = P1
1.0
3.024 0.000 0.000
0.378 5.994 0.000
0.323 2.844 12.076
Li Mn Co O
7 2 3 12
Cartesian
0.000 0.000 0.000
3.257 2.960 3.989
1.859 4.487 5.937
2.094 7.376 10.060
1.636 1.432 2.017
3.485 5.913 7.973
3.444 5.953 3.982
1.939 4.396 10.042
3.291 2.894 7.965
0.209 3.016 0.035
2.012 7.356 5.893
1.821 4.553 2.062
0.465 5.860 1.986
0.328 2.865 6.038
0.617 5.865 10.145
1.982 7.449 7.827
1.767 4.437 0.147
1.831 4.442 3.791
1.652 1.472 4.167
1.991 4.439 11.986
1.973 4.360 8.086
- - -
A rule-based approach to refactoring switch statements could be provably correct 100% of the time, but the recipe is more complicated to develop. This is the recipe using an AI prompt and this is the same recipe written for 100% accuracy.
- Multi-point: designed to operate at many (potentially hundreds of millions) of distinct cursor positions in the source code.
- Authoritative: Guaranteed to be accurate.
## Attached: crystal structures
********
[1]
Density functional theory data (PBE) for UP3H10BrO8 after structural relaxation. Values from VASP.

Values from the calculation:
As for the symmetry: Pbcm (57). As for the total magnetization: 2.00 μB per formula unit. The calculation puts the MP2020-corrected energy at -5.97 eV per atom.

The structure in Quantum ESPRESSO input format:
```
&SYSTEM
  ibrav = 0, nat = 92, ntyp = 5
/
ATOMIC_SPECIES
U 238.03 U.upf
P 30.97 P.upf
H 1.01 H.upf
Br 79.90 Br.upf
O 16.00 O.upf
CELL_PARAMETERS angstrom
7.5980 0.0000 0.0000
0.0000 10.3772 0.0000
0.0000 0.0000 15.1099
ATOMIC_POSITIONS angstrom
U 1.5062 0.7369 3.7775
U 1.5062 4.4517 11.3324
U 6.0919 5.9255 3.7775
U 6.0919 9.6403 11.3324
P 0.9531 1.3124 9.2827
P 0.9531 1.3124 13.3821
P 0.9531 3.8762 1.7278
P 0.9531 3.8762 5.8272
P 2.6212 7.4826 3.7775
P 2.6212 8.0832 11.3324
P 4.9769 2.2940 3.7775
P 4.9769 2.8946 11.3324
P 6.6449 6.5010 9.2827
P 6.6449 6.5010 13.3821
P 6.6449 9.0648 1.7278
P 6.6449 9.0648 5.8272
H 0.6520 1.4060 7.8969
H 0.6520 1.4060 14.7679
H 0.6520 3.7826 0.3420
H 0.6520 3.7826 7.2130
H 1.9965 6.9085 2.6483
H 1.9965 6.9085 4.9066
H 1.9965 8.6573 10.2032
H 1.9965 8.6573 12.4616
H 2.3042 0.8815 9.3258
H 2.3042 0.8815 13.3390
H 2.3042 4.3071 1.7709
H 2.3042 4.3071 5.7840
H 2.7005 5.6760 8.6317
H 2.7005 5.6760 14.0331
H 2.7005 9.8898 1.0768
H 2.7005 9.8898 6.4782
H 3.2357 1.0262 1.1111
H 3.2357 1.0262 6.4438
H 3.2357 4.1624 8.6660
H 3.2357 4.1624 13.9988
H 4.3624 6.2148 1.1111
H 4.3624 6.2148 6.4438
H 4.3624 9.3510 8.6660
H 4.3624 9.3510 13.9988
H 4.8975 0.4874 8.6317
H 4.8975 0.4874 14.0331
H 4.8975 4.7012 1.0768
H 4.8975 4.7012 6.4782
H 5.2938 6.0701 9.3258
H 5.2938 6.0701 13.3390
H 5.2938 9.4957 1.7709
H 5.2938 9.4957 5.7840
H 5.6015 1.7199 2.6483
H 5.6015 1.7199 4.9066
H 5.6015 3.4687 10.2032
H 5.6015 3.4687 12.4616
H 6.9461 6.5946 7.8969
H 6.9461 6.5946 14.7679
H 6.9461 8.9712 0.3420
H 6.9461 8.9712 7.2130
Br 3.1032 7.7829 0.0000
Br 3.1032 7.7829 7.5549
Br 4.4948 2.5943 0.0000
Br 4.4948 2.5943 7.5549
O 0.0827 0.2240 9.8976
O 0.0827 0.2240 12.7672
O 0.0827 4.9646 2.3427
O 0.0827 4.9646 5.2122
O 0.8692 2.4843 2.3479
O 0.8692 2.4843 5.2070
O 0.8692 2.7044 9.9028
O 0.8692 2.7044 12.7620
O 2.3241 6.5844 11.3324
O 2.3241 8.9814 3.7775
O 2.6883 0.3512 1.5895
O 2.6883 0.3512 5.9654
O 2.6883 4.8374 9.1445
O 2.6883 4.8374 13.5203
O 3.4919 1.9160 3.7775
O 3.4919 3.2726 11.3324
O 4.1061 7.1046 3.7775
O 4.1061 8.4612 11.3324
O 4.9098 5.5398 1.5895
O 4.9098 5.5398 5.9654
O 4.9098 10.0260 9.1445
O 4.9098 10.0260 13.5203
O 5.2739 1.3958 11.3324
O 5.2739 3.7928 3.7775
O 6.7289 7.6729 2.3479
O 6.7289 7.6729 5.2070
O 6.7289 7.8930 9.9028
O 6.7289 7.8930 12.7620
O 7.5153 5.4126 9.8976
O 7.5153 5.4126 12.7672
O 7.5153 10.1532 2.3427
O 7.5153 10.1532 5.2122
```

***

[2]
Density functional theory data (PBE) for Li3Ti2P3O12 after structural relaxation. Values from VASP.

Values from the calculation:
********
There is a tradeoff between recipe development speed and manual review time.
# Crystal structures, as found in the file
~~~
Record 1
A relaxed structure of CaMg3Si3O10, computed with GGA-PBE.

Cell and atoms, written as POSCAR:
```
CaMg3Si3O10
1.0
6.322 2.815 5.645
-6.096 -6.707 3.813
8.030 -3.781 -5.395
Ca Mg Si O
4 12 12 40
Direct
0.383 0.634 0.428
0.617 0.366 0.572
0.366 0.619 0.950
0.634 0.381 0.050
0.500 0.000 0.000
0.000 0.500 0.500
0.168 0.847 0.540
0.832 0.153 0.460
0.153 0.833 0.050
0.847 0.167 0.950
0.067 0.930 0.841
0.933 0.070 0.159
0.065 0.942 0.345
0.935 0.058 0.655
0.257 0.744 0.747
0.743 0.256 0.253
0.329 0.230 0.757
0.671 0.770 0.243
0.340 0.226 0.249
0.660 0.774 0.751
0.234 0.337 0.551
0.766 0.663 0.449
0.220 0.334 0.062
0.780 0.666 0.938
0.439 0.948 0.304
0.561 0.052 0.696
0.048 0.564 0.202
0.952 0.436 0.798
0.163 0.067 0.712
0.837 0.933 0.288
0.169 0.065 0.215
0.831 0.935 0.785
0.288 0.955 0.406
0.712 0.045 0.594
0.271 0.942 0.925
0.729 0.058 0.075
0.399 0.876 0.624
0.601 0.124 0.376
0.384 0.874 0.132
0.616 0.126 0.868
0.497 0.200 0.702
0.503 0.800 0.298
0.491 0.778 0.822
0.509 0.222 0.178
0.374 0.318 0.429
0.626 0.682 0.571
0.358 0.340 0.937
0.642 0.660 0.063
0.070 0.168 0.517
0.930 0.832 0.483
0.063 0.163 0.009
0.937 0.837 0.991
0.039 0.715 0.181
0.961 0.285 0.819
0.060 0.730 0.660
0.940 0.270 0.340
0.123 0.616 0.363
0.877 0.384 0.637
0.128 0.600 0.864
0.872 0.400 0.136
0.192 0.500 0.098
0.808 0.500 0.902
0.225 0.507 0.574
0.775 0.493 0.426
0.318 0.368 0.207
0.682 0.632 0.793
0.338 0.366 0.697
0.662 0.634 0.303
```

Values from the calculation:
**Formation enthalpy at 0 K**: -3.237 eV/atom
**Space group**: No. 2
**E_tot**: -482.86 eV/cell

Record 2
A relaxed structure of CaMgSi2O2, computed with GGA-PBE.

Cell and atoms, written as POSCAR:
```
CaMgSi2O2
1.0
-2.094 0.634 -6.062
4.397 -4.107 -2.311
-2.788 -4.063 -0.311
Ca Mg Si O
2 2 4 4
Direct
0.693 0.307 0.250
0.307 0.693 0.750
0.916 0.084 0.750
0.084 0.916 0.250
0.604 0.785 0.210
0.396 0.215 0.790
0.785 0.604 0.710
0.215 0.396 0.290
0.969 0.792 0.638
0.208 0.031 0.862
0.792 0.969 0.138
0.031 0.208 0.362
```

Values from the calculation:
**Formation enthalpy at 0 K**: -1.652 eV/atom
**Space group**: No. 15
**E_tot**: -65.78 eV/cell

Record 3
A relaxed structure of SrCa3Mg4Si8O24, computed with GGA-PBE.

Cell and atoms, written as POSCAR:
```
SrCa3Mg4Si8O24
1.0
9.091 0.000 0.000
0.000 5.324 0.000
0.000 2.628 9.522
Sr Ca Mg Si O
1 3 4 8 24
Direct
~~~
For refactoring operations that have a relatively small number of touches in a large codebase (say 1,000 occurrences), I believe leveraging prompt-based approaches to making the change and accepting more manual review is worthwhile.
For core recipes that are going to be used repeatedly or serve as building blocks for moving up the value chain, 100% accuracy is a surer footing.
Neither is a replacement for the other: just two different tools to use depending on the application.